Please return the whole of the contents underneath with every line break kept.
'''
(1)
Crystalline MgMn2S4 at its relaxed geometry, computed with GGA-PBE.

## Properties
Calculated formation energy: -100 kJ per mole of atoms
SG: No. 141
Uncorrected energy: -5.96 eV per atom

a b c (Å): 7.3746 7.3746 7.3746
angles (deg): 121.83 121.83 86.86
Last column: nearest neighbours and their distance in Å.
Fractional positions:
S (0.1173, 0.8889, 0.2284)  3 Mn 2.43-2.53, 1 Mg 2.45
S (0.1111, 0.3396, 0.2284)  3 Mn 2.43-2.53, 1 Mg 2.45
S (0.0896, 0.3611, 0.7284)  3 Mn 2.43-2.53, 1 Mg 2.45
S (0.6604, 0.8889, 0.7716)  3 Mn 2.43-2.53, 1 Mg 2.45
S (0.1111, 0.8827, 0.7716)  3 Mn 2.43-2.53, 1 Mg 2.45
S (0.6389, 0.3673, 0.7284)  3 Mn 2.43-2.53, 1 Mg 2.45
S (0.6389, 0.9104, 0.2716)  3 Mn 2.43-2.53, 1 Mg 2.45
S (0.6327, 0.3611, 0.2716)  3 Mn 2.43-2.53, 1 Mg 2.45
Mg (0.5000, 0.5000, 0.0000)  4 S 2.45
Mg (0.2500, 0.7500, 0.5000)  4 S 2.45
Mn (0.8750, 0.6250, 0.7500)  6 S 2.43-2.53
Mn (0.3750, 0.1250, 0.2500)  6 S 2.43-2.53
Mn (0.8750, 0.1250, 0.7500)  6 S 2.43-2.53
Mn (0.8750, 0.1250, 0.2500)  6 S 2.43-2.53

(2)
Crystalline CsTmI3 at its relaxed geometry, computed with GGA-PBE.

## Properties
Calculated formation energy: -137 kJ per mole of atoms
SG: No. 62
Uncorrected energy: -3.18 eV per atom

a b c (Å): 8.3272 8.7022 12.1453
angles (deg): 90.00 90.00 90.00
Last column: nearest neighbours and their distance in Å.
Fractional positions:
Cs (0.0295, 0.4340, 0.2500)  8 I 3.87-4.13
Cs (0.9705, 0.5661, 0.7500)  8 I 3.87-4.13
Cs (0.5295, 0.0660, 0.7500)  8 I 3.87-4.13
Cs (0.4705, 0.9340, 0.2500)  8 I 3.87-4.13
Tm (0.0000, 0.0000, 0.5000)  6 I 3.05-3.08
Tm (0.5000, 0.5000, 0.0000)  6 I 3.05-3.08
Tm (0.5000, 0.5000, 0.5000)  6 I 3.05-3.08
Tm (0.0000, 0.0000, 0.0000)  6 I 3.05-3.08
I (0.2144, 0.7173, 0.4746)  2 Tm 3.05-3.06
I (0.7144, 0.7827, 0.5254)  2 Tm 3.05-3.06
I (0.2144, 0.7173, 0.0254)  2 Tm 3.05-3.06
I (0.9400, 0.9981, 0.2500)  2 Tm 3.08
I (0.4400, 0.5019, 0.7500)  2 Tm 3.08
I (0.0600, 0.0019, 0.7500)  2 Tm 3.08
I (0.7856, 0.2827, 0.5254)  2 Tm 3.05-3.06
I (0.2856, 0.2173, 0.0254)  2 Tm 3.05-3.06
I (0.7144, 0.7827, 0.9746)  2 Tm 3.05-3.06
I (0.2856, 0.2173, 0.4746)  2 Tm 3.05-3.06
I (0.7856, 0.2827, 0.9746)  2 Tm 3.05-3.06
I (0.5600, 0.4981, 0.2500)  2 Tm 3.08

(3)
Crystalline LaMn4Al8 at its relaxed geometry, computed with GGA-PBE.

## Properties
Calculated formation energy: -30 kJ per mole of atoms
SG: No. 139
'''
(1)
Crystalline MgMn2S4 at its relaxed geometry, computed with GGA-PBE.

## Properties
Calculated formation energy: -100 kJ per mole of atoms
SG: No. 141
Uncorrected energy: -5.96 eV per atom

a b c (Å): 7.3746 7.3746 7.3746
angles (deg): 121.83 121.83 86.86
Last column: nearest neighbours and their distance in Å.
Fractional positions:
S (0.1173, 0.8889, 0.2284)  3 Mn 2.43-2.53, 1 Mg 2.45
S (0.1111, 0.3396, 0.2284)  3 Mn 2.43-2.53, 1 Mg 2.45
S (0.0896, 0.3611, 0.7284)  3 Mn 2.43-2.53, 1 Mg 2.45
S (0.6604, 0.8889, 0.7716)  3 Mn 2.43-2.53, 1 Mg 2.45
S (0.1111, 0.8827, 0.7716)  3 Mn 2.43-2.53, 1 Mg 2.45
S (0.6389, 0.3673, 0.7284)  3 Mn 2.43-2.53, 1 Mg 2.45
S (0.6389, 0.9104, 0.2716)  3 Mn 2.43-2.53, 1 Mg 2.45
S (0.6327, 0.3611, 0.2716)  3 Mn 2.43-2.53, 1 Mg 2.45
Mg (0.5000, 0.5000, 0.0000)  4 S 2.45
Mg (0.2500, 0.7500, 0.5000)  4 S 2.45
Mn (0.8750, 0.6250, 0.7500)  6 S 2.43-2.53
Mn (0.3750, 0.1250, 0.2500)  6 S 2.43-2.53
Mn (0.8750, 0.1250, 0.7500)  6 S 2.43-2.53
Mn (0.8750, 0.1250, 0.2500)  6 S 2.43-2.53

(2)
Crystalline CsTmI3 at its relaxed geometry, computed with GGA-PBE.

## Properties
Calculated formation energy: -137 kJ per mole of atoms
SG: No. 62
Uncorrected energy: -3.18 eV per atom

a b c (Å): 8.3272 8.7022 12.1453
angles (deg): 90.00 90.00 90.00
Last column: nearest neighbours and their distance in Å.
Fractional positions:
Cs (0.0295, 0.4340, 0.2500)  8 I 3.87-4.13
Cs (0.9705, 0.5661, 0.7500)  8 I 3.87-4.13
Cs (0.5295, 0.0660, 0.7500)  8 I 3.87-4.13
Cs (0.4705, 0.9340, 0.2500)  8 I 3.87-4.13
Tm (0.0000, 0.0000, 0.5000)  6 I 3.05-3.08
Tm (0.5000, 0.5000, 0.0000)  6 I 3.05-3.08
Tm (0.5000, 0.5000, 0.5000)  6 I 3.05-3.08
Tm (0.0000, 0.0000, 0.0000)  6 I 3.05-3.08
I (0.2144, 0.7173, 0.4746)  2 Tm 3.05-3.06
I (0.7144, 0.7827, 0.5254)  2 Tm 3.05-3.06
I (0.2144, 0.7173, 0.0254)  2 Tm 3.05-3.06
I (0.9400, 0.9981, 0.2500)  2 Tm 3.08
I (0.4400, 0.5019, 0.7500)  2 Tm 3.08
I (0.0600, 0.0019, 0.7500)  2 Tm 3.08
I (0.7856, 0.2827, 0.5254)  2 Tm 3.05-3.06
I (0.2856, 0.2173, 0.0254)  2 Tm 3.05-3.06
I (0.7144, 0.7827, 0.9746)  2 Tm 3.05-3.06
I (0.2856, 0.2173, 0.4746)  2 Tm 3.05-3.06
I (0.7856, 0.2827, 0.9746)  2 Tm 3.05-3.06
I (0.5600, 0.4981, 0.2500)  2 Tm 3.08

(3)
Crystalline LaMn4Al8 at its relaxed geometry, computed with GGA-PBE.

## Properties
Calculated formation energy: -30 kJ per mole of atoms
SG: No. 139